Cultural Tourism Founder to Step Down
Kathryn Smith, the founder and executive director of Cultural Tourism D.C., will step down from her position in March.
Cultural Tourism D.C. is a nonprofit coalition dedicated to helping residents and visitors experience the diverse heritage and culture of the entire city of Washington, D.C.
Smith said the coalition “invites visitors to find the real city of Washington, D.C.,” adding that people from Washington “look around you and see what you take for granted.” The coalition works with neighbors to determine “what makes your neighborhood different and how can we show that,” she said.
“The process is as important as the end-product,” Smith said of the work the coalition does. “We define what a place is, and when you put the pieces together, D.C. is a really dynamic, interesting city.”
The idea for Cultural Tourism D.C. came from a 1995 White House conference on travel and tourism that determined cultural tourism should be a priority for the United States.
Local institutions, sites and museums recognized the opportunity to show people that there is more to D.C. than the National Mall. In 1996, under the direction of the Humanities Council of Washington, D.C., and the Historical Society of Washington, D.C., the sites created the D.C. Heritage Tourism Coalition to showcase the whole city.
In 1999, the coalition became an independent, nonprofit organization. In 2003, the coalition changed its name to Cultural Tourism D.C.
Today the coalition has more than 140 members. In the past eight years, Smith said, the coalition has “been able to be catalytic in the creation of a new piece of work for the city.”
## Next to the entry, the page also holds records of molecules
/*
No. 1
# C5H7PS

An isolated molecule of C5H7PS at a distorted geometry (ωB97M-V with the def2-TZVPD basis set, OMol25).

The total charge is 0. The energy above the lowest of the compared OMol25 structures with the same formula, charge and spin is 25.2 kcal/mol. The HOMO energy comes out at -8.67 eV. As for the gap between HOMO and LUMO: 0.3355 hartree. Its spin multiplicity is 1. Its SMILES is C=C1C=C[P@@H](=S)C1.

Last column: Mulliken charge in e.
CARTESIAN COORDINATES (ANGSTROEM)
S1 -3.33 -0.30 -0.34  -0.435
P1 -1.72 0.05 0.60  0.194
C1 -0.72 1.55 0.04  -0.548
C2 0.86 -0.28 -0.27  0.766
C3 -0.21 -1.08 0.34  -0.619
C4 2.11 -0.67 -0.49  -0.952
C5 0.51 1.19 -0.27  -0.343
H1 2.75 0.20 -0.89  0.166
H2 -1.20 2.55 0.06  0.378
H3 1.33 1.61 -0.82  0.239
H4 -2.14 0.28 1.84  0.055
H5 0.01 -1.78 1.15  0.444
H6 -0.63 -1.65 -0.51  0.297
H7 2.37 -1.69 -0.43  0.358


No. 2
# C3H6N2O3

An isolated molecule of C3H6N2O3 at a distorted geometry (ωB97M-V with the def2-TZVPD basis set, OMol25).

The total charge is 0. The energy above the lowest of the compared OMol25 structures with the same formula, charge and spin is 187.4 kcal/mol. The HOMO energy comes out at -10.18 eV. As for the gap between HOMO and LUMO: 0.4003 hartree. Its spin multiplicity is 1. Its SMILES is CN1OCONC1=O.

Last column: Mulliken charge in e.
CARTESIAN COORDINATES (ANGSTROEM)
O1 0.23 -1.28 -0.53  -0.345
O2 1.82 -0.07 0.11  -0.249
O3 -0.91 1.86 0.28  -0.628
N1 -0.78 -0.32 -0.45  0.087
N2 0.99 1.12 -0.41  -0.178
C1 -0.26 0.87 -0.08  0.644
C2 -1.96 -0.89 0.21  -0.755
C3 1.09 -0.95 0.47  -0.181
H1 1.06 1.72 0.30  0.275
H2 0.24 -0.82 1.25  0.194
H3 -1.80 -1.04 1.40  0.291
H4 1.77 -1.85 1.03  0.267
H5 -2.33 -1.79 -0.43  0.263
H6 -2.80 -0.10 -0.05  0.316


No. 3
# C27H34FFeN3O3Si

C27H34FFeN3O3Si as an isolated structure at a distorted geometry (ωB97M-V with the def2-TZVPD basis set, OMol25).

The total charge is 0. The HOMO energy (spin up / spin down) comes out at -6.63 / -6.67 eV. As for the gap between HOMO and LUMO (spin up / spin down): 0.2404 / 0.2386 hartree. Its spin multiplicity is 5.

Last column: Löwdin spin population.
CARTESIAN COORDINATES (ANGSTROEM)
Fe1 -1.05 0.05 0.38  3.706
Si1 -0.53 -0.53 -2.99  0.008
F1 -2.51 1.57 0.25  0.031
O1 0.82 -0.93 0.84  0.048
O2 -1.15 0.47 2.49  0.020
O3 0.73 1.29 0.42  0.037
N1 -1.40 0.25 -1.73  0.051
N2 -2.01 -1.83 0.55  0.022
N3 -2.56 -1.02 3.44  0.005
C1 1.38 0.24 0.81  0.008
C2 2.08 2.66 2.49  0.000
C3 -2.27 1.26 -2.07  0.006
C4 -1.48 -1.43 -4.29  0.001
C5 4.45 2.02 2.10  0.000
C6 0.72 -1.72 -2.32  0.001
C7 -4.25 -2.45 0.54  -0.003
C8 3.58 -1.75 0.26  0.001
C9 -2.66 -3.68 -0.84  -0.001
C10 -1.40 -0.31 3.43  0.009
C11 -3.99 -3.41 -0.46  0.007
C12 5.48 1.13 1.76  0.001
C13 -2.83 2.07 -1.00  0.004
C14 -3.49 -0.93 2.32  0.000
C15 2.78 0.43 1.28  0.001
C16 -3.64 3.74 -2.40  0.003
C17 6.88 1.62 2.01  0.000
C18 -3.20 -1.73 1.12  0.008
C19 -0.40 -0.57 4.54  0.002
C20 -2.71 1.71 -3.36  0.004
C21 -1.67 -2.87 -0.25  0.012
C22 -3.30 2.96 -3.51  0.000
*/
## Back to the entry
As a past president of the Historical Society and as a writer and teacher who took part in projects related to the history of D.C., Smith said she was “interested in the idea of working to get people more familiar with the city.”
Smith said she is a public historian who has done all her work, including the study of neighborhoods, in D.C. “I have for the last three decades and more been interested in the image of D.C. as a city,” she said.
Originally from Milwaukee, Wis., Smith came to D.C. in 1966 to work as an assistant press secretary to then-Sen. Gaylord Nelson (D-Wis.).
Having worked at the State Historical Society of Wisconsin for five years, she said she began to “look for what this city was all about.” She said she “almost immediately got involved with local projects.”
In the 1970s, Smith said she developed a D.C. history curriculum for the D.C. public schools. The one-semester course, the History of Washington, D.C., is still a graduation requirement today, she said.
She edited “Washington History,” the Historical Society’s semiannual journal, for three years, and planned courses and tours for the Smithsonian.
In the 1990s, Smith said she became interested in the history of blacks in the District’s U Street area. She created a 160-foot-long outdoor exhibit of photographs called “Remembering U Street.”
Smith said she enjoys “connecting people with the stories of their own places.”
“Cultural tourism is another way to do that,” she said.
“Knowledge of place creates pride and energy,” she said. “We have pride in our place, Washington, based on the amazing richness of our community.”
Capitol Hill is one of the neighborhoods that Cultural Tourism D.C. has been focusing on, Smith said. “It’s a destination that has been overlooked,” she said.
The Capitol Hill Restoration Society has been a major part of the coalition’s work, she said.
Smith said the new director will take the coalition to the next level. “The next step has to be taking all the partnerships and building a really strong identity for D.C. as a cultural community,” she said.
“We have laid the groundwork,” she said. “We have succeeded in telling a new story about D.C. We need to tell that story to more people.”
Smith said she is eager to take part in other projects and that she will continue her “engagement with Washington.”
“I like to start things, create new things,” she said. She said she plans to write and spend more time with her family.
Deborah Ziskah, chief of press and public information at the National Gallery of Art, has worked with Smith on citywide celebrations, which Ziskah said began when D.C. Mayor Anthony Williams (D) called cultural leaders together after the Sept. 11, 2001, attacks.
“Due to her, we now have a working community of major cultural entities around the city,” Ziskah said of Smith. “She has developed ways to work together to make this successful for everybody.
“She has been able to accomplish a great deal in a short period of time,” she said. “The city has really benefited from her work.”
Ziskah described Smith as “incredibly enthusiastic, knowledgeable and energetic.” “She is a lot of fun to work with and very inclusive as well,” she said.
Ziskah said Smith is always trying to get “more money and support” from the city.
“We are going to miss her,” she said. “She’s going to be hard to replace, but she leaves Cultural Tourism D.C. in great shape.”
Julie Rogers, the president of the Meyer Foundation, said she has known Smith for more than 10 years.
Rogers said the foundation was “proud and happy to be the first investor of grant money” to Cultural Tourism D.C.
Smith has a “brilliance of packaging the historical stuff of the moment and making it so very accessible to people whether they are from here or from around the world,” Rogers said.
“Kathy’s most amazing skill is the degree to which she builds alliances,” Rogers said. “The dynamic partnerships that she has formed are a less tangible result of her work.”
“Without her vision and tenacity and 24/7-genius, we wouldn’t be able to do this,” she said.
“She has laid the groundwork and tilled the soil for many,” she said. “Others will be able to build on this.”
For Smith, the most rewarding and most challenging aspect of her work at Cultural Tourism D.C. has been “bringing people together who are used to working in their own circles,” Smith said. “People have different bottom lines and speak different languages. We help them find a common cause.”